def initialize_fixture(fixture_path, database='fixture_tools_db', debug=False, force=False): """ @brief: Adds up-to-date South migration history to the fixture at \a fixture_path. @author: Jivan @since: 2014-05-23 @param force: If True, existing South migration history in the fixture will be ignored. If False, fixtures with South migration history will result in a warning and remain unchanged. """ fms = get_latest_fixture_migrations(fixture_path) # If there is migration history in the fixture, and we're not forcing an overwrite. if len(fms) > 0 and not force: msg = 'Found South migration history in fixture:\n{}\n'\ "If you want to overwrite the fixture's South migration history please use --force."\ .format(fixture_path) logger.warning(msg) ret = False else: django.db.close_connection() reset_db(database=database, debug=debug) sync_all(database=database, debug=debug) load_fixture(fixture_path, database=database) # If there is migration history history & we're forcing an overwrite if len(fms) > 0 and force: # Scrap the migration history from the fixture MigrationHistory.objects.all().delete() migrate_and_dump(fixture_path, database=database, fake=True) ret = True return ret
def db_sample(db_obj_iterable, skip_south_history=False, child_depth=1, dest_db_alias=FIXTURE_DB, show_progress=False, outfile=None): at_least_one_object = False if show_progress: print("Sampling {} objects from 'origin' to '{}".format(len(db_obj_iterable), dest_db_alias)) # Make an empty database with schema reflecting current code. if show_progress: print("Emptying destination database '{}'".format(dest_db_alias)) django.db.close_connection() reset_db(database=dest_db_alias) sync_all(database=dest_db_alias) if not skip_south_history: fake_migrations(database=dest_db_alias) if show_progress: print("Destination database emptied, sampling objects.") # Copy requested objects from default db to fixture db. if show_progress: output_description = """ O = top-level object being sampled. . = top-level object dependency being saved. """ print(output_description) for obj in db_obj_iterable: at_least_one_object = True if show_progress: sys.stdout.write('O') sys.stdout.flush() sample_object(obj, child_depth=child_depth, dest_db_alias=dest_db_alias, show_progress=show_progress) if not at_least_one_object: logger.warn('No objects were requested for sampling. Did you want an empty fixture?') if show_progress: print() # Dump sampled data dumpdata(dest_db_alias, outfile)
<<<
Record 1
VFeCuIr, relaxed, DFT GGA-PBE; E_tot = -30.95 eV/cell; crystal system = cubic; DOS(E_F) = 2.739 states/eV per cell; mass density = 11.772 g/cm³; space-group type = F-43m, No. 216; formation enthalpy at 0 K = -103 meV per atom
1.0
-1.263 2.817 2.798
-2.278 -1.195 3.277
1.665 0.035 3.819
Ir Fe Cu V
1 1 1 1
Cartesian
-0.938 0.829 4.947 Ir
0.000 0.000 0.000 Fe
-1.407 1.243 7.420 Cu
-0.469 0.414 2.473 V



Record 2
Hf2CoSi, relaxed, DFT GGA-PBE; E_tot = -61.87 eV/cell; uncorrected formation energy = 0.38 eV per atom; crystal system = tetragonal; DOS(E_F) = 5.870 states/eV per cell; mass density = 9.874 g/cm³; space-group type = I-42d, No. 122
1.0
-1.428 0.939 3.707
0.094 -3.947 1.036
7.727 -0.521 5.355
Co Si Hf
2 2 4
Cartesian
0.000 0.000 0.000 Co
2.816 -0.543 5.717 Co
-0.667 -1.504 2.371 Si
3.577 -2.986 4.381 Si
1.057 -0.041 3.769 Hf
1.806 -2.476 2.465 Hf
5.296 -1.536 5.799 Hf
4.628 -3.006 8.162 Hf



- DOS(E_F) of number 2 (Hf2CoSi)?
  5.870 states/eV per cell

----------

A crystal of ZnHgAu relaxed with PBEsol, computed with meta-GGA SCAN.

Cell lengths 3.3918, 3.3937, 5.1272 Å; angles 109.33, 109.32, 90.00 degrees
Last column: nearest neighbours and their distance in Å.
Element x y z (fractional)
Au  0.9831  0.9831  0.9661  4 Zn 2.70, 5 Hg 2.84-2.94
Hg  0.6697  0.6697  0.3393  5 Au 2.84-2.94, 5 Zn 2.89-2.92
Zn  0.3473  0.3473  0.6945  4 Au 2.70, 5 Hg 2.89-2.92

Properties
The energy above the most stable polymorph in this dataset is 0 meV per atom. The total magnetization is 0.00 μB/f.u. Its space group is I4mm. For the density of states at the Fermi level, the calculation gives 0.66 states/eV/cell.

----------

A geometry-optimized Ho2Ga5Pd2Rh structure. Source: the Alexandria database, functional GGA-PBE.

a b c (Å): 9.362 9.362 4.117
angles (deg): 90.00 90.00 90.00
Space group P4/mbm (No. 127)
Asymmetric unit:
Ho1 0.183 0.317 0.000
Ga1 0.000 0.500 0.500
Ga2 0.053 0.804 0.500
Pd1 0.114 0.614 0.000
Rh1 0.000 0.000 0.000

Results
The formation energy from the elements comes out at -0.62 eV per atom.

***

A geometry-optimized PrMn2Si2C structure. Source: the Alexandria database, functional GGA-PBE.

a b c (Å): 3.930 3.930 5.373
angles (deg): 90.00 90.00 90.00
Space group P4/mmm (No. 123)
Asymmetric unit:
Pr1 0.000 0.000 0.000
Mn1 0.000 0.500 0.500
Si1 0.500 0.500 0.235
C1 0.000 0.000 0.500

Results
Its uncorrected formation energy is -429 meV per atom.

***

A geometry-optimized Be2CuTe structure. Source: the Alexandria database, functional GGA-PBE.

a b c (Å): 3.8799 3.8799 13.7776
angles (deg): 90.00 90.00 120.00
Space group R-3m (No. 166, hexagonal axes)
Asymmetric unit:
Be1 0.0000 0.0000 0.1976
Cu1 0.0000 0.0000 0.5000
Te1 0.0000 0.0000 0.0000

Results
Its uncorrected formation energy is 308 meV per atom.

***

A geometry-optimized HoUC2 structure. Source: the Alexandria database, functional GGA-PBE.

a b c (Å): 3.5321 3.5321 17.4421
angles (deg): 90.00 90.00 120.00
Space group R3m (No. 160, hexagonal axes)
Asymmetric unit:
>>>
def migrate_fixture(fixture_path, database='fixture_tools_db', load_commit=None, debug=False): """ @brief: Migrates \a fixture_path from the commit it was last modified to the current state of South migrations. @author: Jivan @since: 2014-05-23 @param load_commit: If not None, this commit will be used to load \a fixture_path instead of the commit in which it was most recently modified commit. """ fms = get_latest_fixture_migrations(fixture_path) # If there is no migration history in the fixture, exit with warning if len(fms) == 0:'There is no South migration history in this fixture. You need to '\ 'initialize the fixture before attempting to migrate it.') ret = False else:'--- Finding commit when fixture was last modified.') original_branch, load_commit = \ identify_and_check_out_last_modified_commit( fixture_path, debug=debug, commit=load_commit )'Using commit: {} to load fixture.'.format( load_commit[:8]))'--- Creating compatible database.') # Prevents 'another session is using the database' errors due to lingering connections. django.db.close_connection() clear_south_migration_caches() reset_db(database=database) if debug: if not query_yes_no('Database reset, continue?'): check_out_branch(original_branch, debug=debug) return False sync_all(database=database) if debug: if not query_yes_no('Empty database created, continue?'): check_out_branch(original_branch, debug=debug) return False'--- Loading fixture.')'Fixture name: {}'.format(fixture_path)) load_fixture(fixture_path, database=database)'--- Checking out original commit.') check_out_branch(original_branch, debug=debug) # This is performed in a subprocess because the django model caching gets too confused # by checking out a different commit to do it in this process. '--- Migrating to latest and dumping back to fixture file.') migrate_and_dump_cmd = ' '.join([ 'python', '../django_fixture_tools/', 'migrate_and_dump', fixture_path ]) migrate_and_dump_out = check_output(migrate_and_dump_cmd, shell=True) ret = True return ret
def migrate_fixture(fixture_path, database='fixture_tools_db', load_commit=None, debug=False): """ @brief: Migrates \a fixture_path from the commit it was last modified to the current state of South migrations. @author: Jivan @since: 2014-05-23 @param load_commit: If not None, this commit will be used to load \a fixture_path instead of the commit in which it was most recently modified commit. """ fms = get_latest_fixture_migrations(fixture_path) # If there is no migration history in the fixture, exit with warning if len(fms) == 0:'There is no South migration history in this fixture. You need to '\ 'initialize the fixture before attempting to migrate it.') ret = False else:'--- Finding commit when fixture was last modified.') original_branch, load_commit = \ identify_and_check_out_last_modified_commit( fixture_path, debug=debug, commit=load_commit )'Using commit: {} to load fixture.'.format(load_commit[:8]))'--- Creating compatible database.') # Prevents 'another session is using the database' errors due to lingering connections. django.db.close_connection() clear_south_migration_caches() reset_db(database=database) if debug: if not query_yes_no('Database reset, continue?'): check_out_branch(original_branch, debug=debug) return False sync_all(database=database) if debug: if not query_yes_no('Empty database created, continue?'): check_out_branch(original_branch, debug=debug) return False'--- Loading fixture.')'Fixture name: {}'.format(fixture_path)) load_fixture(fixture_path, database=database)'--- Checking out original commit.') check_out_branch(original_branch, debug=debug) # This is performed in a subprocess because the django model caching gets too confused # by checking out a different commit to do it in this process.'--- Migrating to latest and dumping back to fixture file.') migrate_and_dump_cmd = ' '.join(['python','../django_fixture_tools/', 'migrate_and_dump', fixture_path]) migrate_and_dump_out = check_output(migrate_and_dump_cmd, shell=True) ret = True return ret